(Data)
┌──
No. 1
Density functional theory data (PBE) for a relaxed KNaH2 crystal.

Properties
Its magnetization is 0.00 μB per atom. As for the space group: P2_1/c. The value obtained for the polymorph energy (0 for the lowest one) is 0 kJ/mol of formula units.

Unit cell a=6.9023 b=7.1456 c=6.2642 alpha=90.00 beta=105.31 gamma=90.00
Positions (direct):
1 K 0.1671 0.0858 0.3093
2 K 0.1671 0.4142 0.8093
3 K 0.8329 0.5858 0.1907
4 K 0.8329 0.9142 0.6907
5 Na 0.3634 0.6644 0.3559
6 Na 0.3634 0.8356 0.8559
7 Na 0.6366 0.1644 0.1441
8 Na 0.6366 0.3356 0.6441
9 H 0.1223 0.7436 0.5300
10 H 0.1223 0.7564 0.0300
11 H 0.4258 0.1276 0.7577
12 H 0.4258 0.3724 0.2577
13 H 0.5742 0.6276 0.7423
14 H 0.5742 0.8724 0.2423
15 H 0.8777 0.2436 0.9700
16 H 0.8777 0.2564 0.4700

---

No. 2
Density functional theory data (PBE) for a relaxed K2Na2NiH4 crystal.

Properties
As for the calculated total energy: -2.651 eV/atom. Its magnetization is 0.00 μB per atom. As for the space group: I4/mmm.

Unit cell a=6.2411 b=6.2411 c=6.2411 alpha=114.45 beta=114.45 gamma=99.92
Positions (direct):
1 K 0.2500 0.7500 0.5000
2 K 0.7500 0.2500 0.5000
3 Na 0.1808 0.1808 0.0000
4 Na 0.8192 0.8192 0.0000
5 Ni 0.5000 0.5000 0.0000
6 H 0.3371 0.3371 0.6741
7 H 0.3371 0.6629 0.0000
8 H 0.6629 0.3371 0.0000
9 H 0.6629 0.6629 0.3259

---

No. 3
Density functional theory data (PBE) for a relaxed KNaNiH6 crystal.

Properties
As for the calculated total energy: -3.279 eV/atom. Its magnetization is 0.02 μB per atom. As for the space group: P1.

Unit cell a=5.1828 b=5.2133 c=5.2160 alpha=60.05 beta=89.99 gamma=89.99
Positions (direct):
1 K 0.0000 0.0000 0.0000
2 Na 0.5000 0.3334 0.3335
3 Ni 0.5005 0.6667 0.6674
4 H 0.3242 0.4357 0.8956
5 H 0.3254 0.6709 0.4347
6 H 0.3259 0.8961 0.6707
7 H 0.6749 0.4339 0.6706
8 H 0.6759 0.6686 0.8967
9 H 0.6767 0.8952 0.4365

---

No. 4
Density functional theory data (PBE) for a relaxed K2NaNiH6 crystal.

Properties
As for the calculated total energy: -3.102 eV/atom. Its magnetization is 0.00 μB per atom. As for the space group: P-3m1.

Unit cell a=5.6902 b=5.6902 c=5.5549 alpha=90.00 beta=90.00 gamma=120.00
Positions (direct):
1 K 0.3333 0.6667 0.3259
2 K 0.6667 0.3333 0.6741
3 Na 0.0000 0.0000 0.0000
4 Ni 0.0000 0.0000 0.5000
5 H 0.1316 0.2633 0.6622
6 H 0.1316 0.8684 0.6622
7 H 0.2633 0.1316 0.3378
8 H 0.7367 0.8684 0.6622
9 H 0.8684 0.1316 0.3378
10 H 0.8684 0.7367 0.3378

---

No. 5
Density functional theory data (PBE) for a relaxed KNaNiH4 crystal.

Properties
As for the calculated total energy: -3.238 eV/atom. Its magnetization is 0.00 μB per atom. As for the space group: I4mm.

Unit cell a=3.6231 b=3.6231 c=12.8961 alpha=90.00 beta=90.00 gamma=90.00
Positions (direct):
1 K 0.0000 0.0000 0.0000
2 K 0.5000 0.5000 0.5000
3 Na 0.0000 0.0000 0.2620
4 Na 0.5000 0.5000 0.7620
5 Ni 0.0000 0.0000 0.6585
6 Ni 0.5000 0.5000 0.1585
7 H 0.0000 0.0000 0.5363
8 H 0.0000 0.0000 0.7833
9 H 0.0000 0.5000 0.1547
10 H 0.0000 0.5000 0.6547
11 H 0.5000 0.0000 0.1547
12 H 0.5000 0.0000 0.6547
13 H 0.5000 0.5000 0.0363
14 H 0.5000 0.5000 0.2833

---

No. 6
Density functional theory data (PBE) for a relaxed K6Na2HO crystal.

Properties
As for the calculated total energy: -2.060 eV/atom. Its magnetization is 0.00 μB per atom. As for the space group: I4/mmm.

Unit cell a=8.2468 b=8.2468 c=8.2468 alpha=119.87 beta=119.87 gamma=90.23
Positions (direct):
1 K 0.2323 0.2323 0.0000
2 K 0.2318 0.2318 0.4636
3 K 0.2318 0.7682 0.0000
4 K 0.7682 0.2318 0.0000
5 K 0.7677 0.7677 0.0000
6 K 0.7682 0.7682 0.5364
7 Na 0.2499 0.7500 0.5000
8 Na 0.7500 0.2500 0.5001
9 H 0.5000 0.5000 0.0000
10 O 0.0000 0.0000 0.0000

---

No. 7
Density functional theory data (PBE) for a relaxed K5NaP3H3O12 crystal.

Properties
As for the calculated total energy: -5.910 eV/atom. Its magnetization is 0.00 μB per atom. As for the space group: Pna2_1.

Unit cell a=22.7791 b=10.1511 c=5.9249 alpha=90.00 beta=90.00 gamma=90.00
Positions (direct):
1 K 0.0492 0.1006 0.0000
2 K 0.0924 0.6247 0.4952
└──
(What to do)
It remains to write out the contents further up word for word.
(Response)
No. 1
Density functional theory data (PBE) for a relaxed KNaH2 crystal.

Properties
Its magnetization is 0.00 μB per atom. As for the space group: P2_1/c. The value obtained for the polymorph energy (0 for the lowest one) is 0 kJ/mol of formula units.

Unit cell a=6.9023 b=7.1456 c=6.2642 alpha=90.00 beta=105.31 gamma=90.00
Positions (direct):
1 K 0.1671 0.0858 0.3093
2 K 0.1671 0.4142 0.8093
3 K 0.8329 0.5858 0.1907
4 K 0.8329 0.9142 0.6907
5 Na 0.3634 0.6644 0.3559
6 Na 0.3634 0.8356 0.8559
7 Na 0.6366 0.1644 0.1441
8 Na 0.6366 0.3356 0.6441
9 H 0.1223 0.7436 0.5300
10 H 0.1223 0.7564 0.0300
11 H 0.4258 0.1276 0.7577
12 H 0.4258 0.3724 0.2577
13 H 0.5742 0.6276 0.7423
14 H 0.5742 0.8724 0.2423
15 H 0.8777 0.2436 0.9700
16 H 0.8777 0.2564 0.4700

---

No. 2
Density functional theory data (PBE) for a relaxed K2Na2NiH4 crystal.

Properties
As for the calculated total energy: -2.651 eV/atom. Its magnetization is 0.00 μB per atom. As for the space group: I4/mmm.

Unit cell a=6.2411 b=6.2411 c=6.2411 alpha=114.45 beta=114.45 gamma=99.92
Positions (direct):
1 K 0.2500 0.7500 0.5000
2 K 0.7500 0.2500 0.5000
3 Na 0.1808 0.1808 0.0000
4 Na 0.8192 0.8192 0.0000
5 Ni 0.5000 0.5000 0.0000
6 H 0.3371 0.3371 0.6741
7 H 0.3371 0.6629 0.0000
8 H 0.6629 0.3371 0.0000
9 H 0.6629 0.6629 0.3259

---

No. 3
Density functional theory data (PBE) for a relaxed KNaNiH6 crystal.

Properties
As for the calculated total energy: -3.279 eV/atom. Its magnetization is 0.02 μB per atom. As for the space group: P1.

Unit cell a=5.1828 b=5.2133 c=5.2160 alpha=60.05 beta=89.99 gamma=89.99
Positions (direct):
1 K 0.0000 0.0000 0.0000
2 Na 0.5000 0.3334 0.3335
3 Ni 0.5005 0.6667 0.6674
4 H 0.3242 0.4357 0.8956
5 H 0.3254 0.6709 0.4347
6 H 0.3259 0.8961 0.6707
7 H 0.6749 0.4339 0.6706
8 H 0.6759 0.6686 0.8967
9 H 0.6767 0.8952 0.4365

---

No. 4
Density functional theory data (PBE) for a relaxed K2NaNiH6 crystal.

Properties
As for the calculated total energy: -3.102 eV/atom. Its magnetization is 0.00 μB per atom. As for the space group: P-3m1.

Unit cell a=5.6902 b=5.6902 c=5.5549 alpha=90.00 beta=90.00 gamma=120.00
Positions (direct):
1 K 0.3333 0.6667 0.3259
2 K 0.6667 0.3333 0.6741
3 Na 0.0000 0.0000 0.0000
4 Ni 0.0000 0.0000 0.5000
5 H 0.1316 0.2633 0.6622
6 H 0.1316 0.8684 0.6622
7 H 0.2633 0.1316 0.3378
8 H 0.7367 0.8684 0.6622
9 H 0.8684 0.1316 0.3378
10 H 0.8684 0.7367 0.3378

---

No. 5
Density functional theory data (PBE) for a relaxed KNaNiH4 crystal.

Properties
As for the calculated total energy: -3.238 eV/atom. Its magnetization is 0.00 μB per atom. As for the space group: I4mm.

Unit cell a=3.6231 b=3.6231 c=12.8961 alpha=90.00 beta=90.00 gamma=90.00
Positions (direct):
1 K 0.0000 0.0000 0.0000
2 K 0.5000 0.5000 0.5000
3 Na 0.0000 0.0000 0.2620
4 Na 0.5000 0.5000 0.7620
5 Ni 0.0000 0.0000 0.6585
6 Ni 0.5000 0.5000 0.1585
7 H 0.0000 0.0000 0.5363
8 H 0.0000 0.0000 0.7833
9 H 0.0000 0.5000 0.1547
10 H 0.0000 0.5000 0.6547
11 H 0.5000 0.0000 0.1547
12 H 0.5000 0.0000 0.6547
13 H 0.5000 0.5000 0.0363
14 H 0.5000 0.5000 0.2833

---

No. 6
Density functional theory data (PBE) for a relaxed K6Na2HO crystal.

Properties
As for the calculated total energy: -2.060 eV/atom. Its magnetization is 0.00 μB per atom. As for the space group: I4/mmm.

Unit cell a=8.2468 b=8.2468 c=8.2468 alpha=119.87 beta=119.87 gamma=90.23
Positions (direct):
1 K 0.2323 0.2323 0.0000
2 K 0.2318 0.2318 0.4636
3 K 0.2318 0.7682 0.0000
4 K 0.7682 0.2318 0.0000
5 K 0.7677 0.7677 0.0000
6 K 0.7682 0.7682 0.5364
7 Na 0.2499 0.7500 0.5000
8 Na 0.7500 0.2500 0.5001
9 H 0.5000 0.5000 0.0000
10 O 0.0000 0.0000 0.0000

---

No. 7
Density functional theory data (PBE) for a relaxed K5NaP3H3O12 crystal.

Properties
As for the calculated total energy: -5.910 eV/atom. Its magnetization is 0.00 μB per atom. As for the space group: Pna2_1.

Unit cell a=22.7791 b=10.1511 c=5.9249 alpha=90.00 beta=90.00 gamma=90.00
Positions (direct):
1 K 0.0492 0.1006 0.0000
2 K 0.0924 0.6247 0.4952